**Given**
********
96
Properties=species:S:1:pos:R:3:forces:R:3 method="wB97M-V/def2-TZVPD" total_charge=+1 fmax_ev_per_a=1.820 homo_ev=-10.73
S -5.455805 -4.020089 2.447166 0.2 0.1 0.3
C -4.656239 -4.338005 1.043055 -0.3 -0.7 0.0
S -5.072224 -5.847411 0.145709 0.2 0.2 -0.6
C -6.887222 -5.810605 0.030583 0.0 0.3 0.3
C -7.477842 -4.708690 -0.857723 0.1 -0.1 0.3
C -7.719473 -3.332864 -0.201051 -0.1 0.1 -0.9
C -8.879483 -3.321808 0.734777 0.5 0.1 -0.3
C -8.880804 -3.912753 1.963672 0.5 -0.7 0.9
C -10.005216 -3.905646 2.787792 0.4 0.0 -0.4
N -11.116573 -3.316327 2.421028 -0.2 0.0 0.4
N -11.060334 -2.729585 1.255362 -0.9 0.7 -0.7
C -10.057124 -2.683877 0.400257 0.3 -0.2 0.0
N -3.649362 -3.613043 0.479607 -1.7 0.3 0.7
C -3.263427 -2.419084 1.254133 0.8 0.5 -1.0
C -4.159177 -1.253159 0.859548 0.2 0.5 0.5
O -3.991144 -0.829237 -0.485497 -0.3 -0.3 -0.2
C -3.531899 -1.850956 -1.355068 0.8 -0.5 0.5
C -3.929342 -3.276977 -0.947961 0.9 0.1 -0.8
H -7.247538 -5.796186 1.056559 -0.2 0.0 0.0
H -7.184543 -6.769743 -0.386537 0.3 -0.2 0.0
H -8.422943 -5.059383 -1.279560 -0.1 0.0 0.1
H -6.812436 -4.577410 -1.708241 0.0 0.1 -0.1
H -7.965789 -2.644237 -1.013875 0.1 0.1 0.0
H -6.823989 -2.934185 0.265552 0.0 -0.1 0.3
H -7.988385 -4.403103 2.328389 0.1 0.0 0.0
H -9.953229 -4.401592 3.743362 -0.4 0.1 0.2
H -11.912122 -2.246510 0.980776 -0.1 -0.1 0.3
H -10.178228 -2.149607 -0.528289 -0.3 0.1 0.0
H -2.243411 -2.165168 0.954576 0.0 0.0 -0.1
H -3.206852 -2.592479 2.320011 -0.4 -0.2 0.1
H -3.890767 -0.407169 1.495673 0.0 0.1 0.0
H -5.219445 -1.443104 1.047470 0.0 -0.3 0.0
H -3.923907 -1.705224 -2.360656 -0.2 0.2 0.0
H -2.443308 -1.794139 -1.414965 -0.1 0.0 0.0
H -3.328491 -3.941247 -1.565980 -0.2 -0.1 -0.2
H -4.969937 -3.417835 -1.212926 -0.2 -0.2 0.3
C 1.167970 1.831888 -0.316903 -0.1 0.0 0.1
C 0.308219 2.207862 0.898160 0.1 -0.2 -0.2
C -0.683171 1.060202 1.126471 -0.1 0.3 0.1
S 0.113093 -0.422472 0.497685 0.6 0.6 0.4
O -0.644337 -0.909475 -0.630840 -0.1 -0.3 -0.1
O 0.448260 -1.298059 1.595539 -0.3 -0.3 -0.1
C 1.592501 0.382286 -0.099937 0.1 0.2 -0.2
H 2.032951 2.487217 -0.418902 0.0 0.0 0.0
H 0.572870 1.913803 -1.229742 0.0 0.0 0.0
H 0.947788 2.322767 1.774682 0.0 0.0 0.0
H -0.206645 3.148475 0.749026 0.0 0.0 0.1
H -0.910993 0.919439 2.180798 0.0 -0.2 0.0
H -1.604846 1.206677 0.563471 0.0 -0.1 -0.1
H 1.938702 -0.111456 -1.005410 0.0 -0.1 0.1
H 2.348153 0.303275 0.680882 0.0 -0.1 0.0
C 3.853788 6.260170 2.114517 -0.1 0.1 0.1
C 3.106621 6.534317 3.427768 0.0 0.0 0.0
C 1.668423 6.929205 3.066061 0.2 0.1 0.3
S 1.317485 6.120340 1.498749 0.4 -0.2 0.1
O 1.121104 7.131348 0.491553 -0.2 0.0 0.0
O 0.357465 5.057791 1.697929 -0.3 0.4 0.0
C 2.924775 5.385253 1.279436 0.1 0.3 0.3
H 4.811099 5.770168 2.288481 0.0 0.0 0.0
H 4.044851 7.201901 1.594273 0.0 0.0 0.0
H 3.096576 5.625681 4.033478 0.0 0.0 0.0
H 3.590477 7.313407 4.015597 0.0 0.0 0.0
H 0.952199 6.591261 3.811085 -0.1 0.0 -0.1
H 1.565977 8.002196 2.915429 0.0 0.0 -0.1
H 3.175839 5.369483 0.230927 -0.2 0.0 -0.1
H 2.879172 4.368615 1.670198 0.0 0.0 0.0
C 7.866140 3.689335 -2.066867 0.0 -0.1 0.0
C 6.950154 2.838718 -2.957276 0.0 0.1 0.0
C 5.833430 2.284339 -2.069490 0.0 0.3 -0.2
S 5.622996 3.463519 -0.739713 0.2 0.0 -0.5
O 5.993338 2.835622 0.506199 -0.2 0.1 0.1
O 4.348982 4.136377 -0.882341 0.1 -0.2 0.1
C 6.938332 4.569887 -1.235105 0.3 0.1 -0.1
H 8.561805 4.287439 -2.653740 0.0 0.0 0.0
H 8.449643 3.039509 -1.410925 0.0 0.0 0.0
H 6.521809 3.466755 -3.742132 0.0 0.0 0.0
H 7.494345 2.031408 -3.443593 0.0 -0.1 0.0
H 4.895045 2.184029 -2.609851 -0.1 0.0 0.2
H 6.110201 1.333966 -1.629360 -0.1 0.5 0.1
H 7.413217 4.993541 -0.352619 -0.1 0.0 0.1
H 6.495066 5.361589 -1.839031 -0.1 0.0 0.0
C 5.806338 -3.601050 -0.998271 -0.1 0.0 -0.1
C 6.004976 -3.768875 -2.510337 0.1 0.0 0.1
C 5.504417 -2.485165 -3.184755 -0.1 -0.4 -0.2
S 5.717999 -1.172351 -1.978038 0.2 -1.1 0.0
O 4.421340 -0.666675 -1.599321 0.1 0.3 -0.1
O 6.783592 -0.310478 -2.421667 0.1 0.0 -0.2
C 6.337824 -2.211125 -0.661988 -0.1 -0.3 0.2
H 6.326393 -4.372949 -0.433744 0.0 0.0 0.0
********
**To do**
Restate every line further up that contains the word "fmax_ev_per_a".
**Result**
Properties=species:S:1:pos:R:3:forces:R:3 method="wB97M-V/def2-TZVPD" total_charge=+1 fmax_ev_per_a=1.820 homo_ev=-10.73